In no particular order,

Diwali went well. We celebrated in Legoland, Germany. They had special fireworks to begin the Halloween season. The universe does conspire, does nt it?
Antu came back from India with Hd and gave me a cold shoulder. Was more excited to see Ashu than me. Whatever! I dont care. I dont.
Did a Diwali do for Ashus class today. Im a natural after all! whowouldathunk it? I had butterflies in my stomach today morning before I went to school like before an exam. But I aced it. The kids had a blast. Ashu was so proud and went around "my mommy, my daddy, my baby" to all her classmates. It was so cute.
Antu is in a stage where I want to bottle her up and gift it to everyone. Sigh! And then they turn four!
Winter is here. I ve decided to make the most of it. Im not going to whine. Im not, Im not.
I joined this gym a month back. It has a beautiful baby care and Antu ,though cries a little bit when I leave her, is fine staying there for an hour. It has been 2 weeks since I went for one reason or the other. Wondering if Antu will be ok when I start to go again. We are older and wiser now, you know?
Next to the entry, the page also holds quantum chemistry results
........
Record 1
ORCA calculation (the ωB97M-V functional and the def2-TZVPD basis) on 2 unconnected molecules or ions with the total composition C6H15NO.

Values from the calculation:
Spin multiplicity ... 1
SMILES ... C[C@@H]1CCCN1C.O
E_HOMO ... -8.62 eV
ΔE to the lowest compared entry with this formula, charge and spin ... 29.31 kcal/mol
Frontier orbital gap ... 0.3456 Ha

Structure (XYZ):
```
23
C6H15NO the ωB97M-V functional and the def2-TZVPD basis
C -1.69 1.06 -0.16
C -0.28 0.48 0.01
C -0.21 -1.04 -0.14
C 0.95 -1.50 0.76
C 1.39 -0.21 1.48
N 0.30 0.75 1.30
C 0.76 2.11 1.45
H -1.93 1.73 0.66
H -1.78 1.60 -1.10
H -2.43 0.26 -0.27
H 0.35 0.89 -0.81
H -1.12 -1.55 0.18
H -0.10 -1.24 -1.20
H 1.79 -1.84 0.17
H 0.64 -2.25 1.49
H 1.59 -0.37 2.54
H 2.29 0.17 0.98
H 1.64 2.33 0.83
H -0.04 2.81 1.20
H 0.99 2.32 2.50
O -0.88 -2.27 -4.29
H -0.50 -2.41 -3.41
H -1.74 -1.85 -4.18
```

Mulliken population analysis, charges in e, atoms 1 to 4: atom 1 (C): -1.33, atom 2 (C): 0.42, atom 3 (C): -0.36, atom 4 (C): -0.55

=====

Record 2
ORCA calculation (the ωB97M-V functional and the def2-TZVPD basis) on a single C4H10N2S molecule at a distorted geometry.

Values from the calculation:
Spin multiplicity ... 1
SMILES ... C/N=C(/NC)SC
E_HOMO ... -8.54 eV
ΔE to the lowest compared entry with this formula, charge and spin ... 11.84 kcal/mol
Frontier orbital gap ... 0.3413 Ha

Structure (XYZ):
```
17
C4H10N2S the ωB97M-V functional and the def2-TZVPD basis
C -0.69 2.41 0.11
N -1.12 1.03 0.02
C -0.31 0.06 -0.05
N -0.80 -1.26 -0.05
C -2.24 -1.51 0.02
S 1.48 0.41 -0.15
C 2.07 -1.26 0.20
H -0.57 2.84 -0.91
H -1.46 2.99 0.60
H 0.25 2.54 0.67
H -0.26 -1.96 -0.51
H -2.76 -1.41 -0.94
H -2.67 -0.77 0.68
H -2.44 -2.48 0.42
H 3.08 -1.17 0.61
H 1.45 -1.76 0.97
H 2.13 -1.92 -0.67
```

Mulliken population analysis, charges in e, atoms 1 to 4: atom 1 (C): -0.90, atom 2 (N): -0.51, atom 3 (C): 0.56, atom 4 (N): -0.21

=====

Record 3
ORCA calculation (the ωB97M-V functional and the def2-TZVPD basis) on 2 unconnected molecules or ions with the total composition C3H7BO3 at a distorted geometry.

Values from the calculation:
Spin multiplicity ... 1
SMILES ... C/C=B/O.O=CO
E_HOMO ... -7.79 eV
ΔE to the lowest compared entry with this formula, charge and spin ... 81.04 kcal/mol
Frontier orbital gap ... 0.2948 Ha

Structure (XYZ):
```
14
C3H7BO3 the ωB97M-V functional and the def2-TZVPD basis
C -0.45 0.18 1.85
C 0.02 -0.77 0.73
B -0.63 -1.88 0.20
O -1.22 -2.88 -0.41
H 0.30 -0.09 2.73
H -0.28 1.22 1.59
H -1.42 -0.02 2.23
H 1.00 -0.48 0.38
H -1.10 -3.76 -0.09
O 0.80 2.49 -0.75
C 0.41 1.90 -1.71
O 1.19 1.16 -2.49
H -0.69 1.85 -2.04
H 2.06 1.08 -2.23
```

Mulliken population analysis, charges in e, atoms 1 to 4: atom 1 (C): -0.90, atom 2 (C): -0.18, atom 3 (B): 0.23, atom 4 (O): -0.55

=====

Record 4
ORCA calculation (the ωB97M-V functional and the def2-TZVPD basis) on a single C3H5NO2 molecule.

Values from the calculation:
Spin multiplicity ... 1
SMILES ... C/N=C\OC=O
E_HOMO ... -10.31 eV
........
End of the quantum chemistry results
Ashu is happy now that she can wear tights, cardigans, jackets, mittens, scarves and caps. Weird, this one.
The other day a friend asked Antu, "are you eating a banana" and she said "yeah"! Instant reply. It was so cute. I think this was the first time shes answered a Q on her own.
My mom might visit in November. Ashu is on could nine. Im sure Antu would be too if she understood the concept of future. Me? Im dreaming about the dinners and movies out with Hd. I am a simple girl, that way!
Misplaced quantum chemistry results
'''
C3H2ClNO | wB97M-V/def2-TZVPD

Structure (ORCA input):
```
! wB97M-V def2-TZVPD RIJCOSX def2/J DEFGRID3
* xyz 0 1
Cl 3.8623 0.8116 0.0414
O 1.2711 -2.0881 -0.3273
N 2.3447 -1.4715 -0.4433
C 0.1962 1.0776 0.7305
C 2.4400 -0.2835 -0.1986
C 0.9468 0.1910 0.2717
H 0.5865 -0.9762 -0.0477
H -0.1676 2.0723 0.8386
*
```

Results
- HOMO energy (eV) = -9.844
- gap between HOMO and LUMO (eV) = 8.63
- energy (Eh) = -705.465273
- LUMO level (eV) = -1.2
- ΔE to the lowest compared entry with this formula, charge and spin (kcal/mol) = 137.3

Mulliken atomic charge list, values in e, 4 entries: number 1, Cl, carries -0.121; number 2, O, carries -0.376; number 3, N, carries -0.045; number 4, C, carries -0.071

***

C8H24AlFO4 | wB97M-V/def2-TZVPD

Structure (ORCA input):
```
! wB97M-V def2-TZVPD RIJCOSX def2/J DEFGRID3
* xyz 3 2
Al -2.8228 -2.5505 2.0576
F -1.2217 -0.5461 0.6810
O -0.9396 -3.7750 0.0324
O -2.0955 -0.3462 -1.9390
O 1.3200 0.6364 -0.0859
O -1.1783 2.1940 1.2864
C -0.6348 2.1496 2.5744
C -0.1863 -3.1417 -1.0391
C -0.5735 3.6100 3.0058
C 3.7393 0.5157 0.2044
C 2.3228 0.2064 0.7833
C 0.8626 -4.2268 -1.4527
C -1.0850 1.5988 -2.6133
C -2.4036 1.0391 -2.0673
H -2.7431 1.4711 -1.1259
H 1.3917 -3.9391 -2.3612
H -0.7942 1.1500 -3.5631
H 3.9218 1.5900 0.1747
H -1.0248 -4.6998 -0.2105
H -3.2018 1.1868 -2.7948
H -0.3034 1.4453 -1.8693
H 4.4854 0.0966 0.8795
H -1.4042 1.6962 3.1993
H -0.8603 -2.8609 -1.8484
H 0.3361 1.6590 2.6439
H 0.3467 -2.2413 -0.7340
H 0.3710 -5.1745 -1.6726
H -1.0974 2.6467 -2.9131
H -1.7115 -0.4300 -1.0631
H -0.4495 3.6976 4.0852
H 1.5914 -4.4595 -0.6763
H 0.5002 0.3494 0.3230
H 3.9202 0.1269 -0.7977
H -1.3239 1.2793 1.0339
H 2.1805 -0.8725 0.8447
H 2.1537 0.6277 1.7742
H 0.1418 4.1936 2.4263
H -1.5298 4.0979 2.8174
*
```

Results
- HOMO energy (spin up / spin down) (eV) = -19.060 / -19.063
- ⟨S²⟩ = 1.763
- gap between HOMO and LUMO (spin up / spin down) (eV) = 4.43 / 3.28
- energy (Eh) = -961.032815
- LUMO level (spin up / spin down) (eV) = -14.6 / -15.8

Mulliken atomic charge list, values in e, 4 entries: number 1, Al, carries 1.089; number 2, F, carries -0.935; number 3, O, carries -0.510; number 4, O, carries -0.032

----------

Record 1
Molecular formula: H16O8
Method: DFT, the ωB97M-V functional and the def2-TZVPD basis

- energy relative to the best compared isomer or geometry (same formula, charge and spin) (eV) = 2.9686
- SMILES string = O.O.O.O.O.O.O.O

Each line ends with the Mulliken charge.
Atoms and positions in Å:
O (-0.14527, -0.79456, 1.07590)  -0.57
O (-2.09650, -0.84031, -4.25224)  -0.64
O (0.74619, 3.44578, 2.29347)  -0.62
O (-2.86328, -2.82721, 2.76274)  -0.61
O (1.17413, 1.35121, -3.86443)  -0.62
O (-2.21776, 0.39373, 3.40908)  -0.60
O (0.75816, 1.50463, -0.53052)  -0.61
O (4.75115, -2.24458, -0.61458)  -0.64
H (-0.57876, -0.02505, 0.68998)  0.28
H (0.24959, 1.62357, -3.87125)  0.32
H (-2.56571, -3.73330, 2.90221)  0.30
H (0.72437, 2.00247, -1.35514)  0.29
H (5.15488, -1.53023, -1.12023)  0.32
'''
Here the text continues
Ashu is at her silliest. Now I know why kids push each other a lot. Hell, I want to just push her, out of a window sometimes, when she just would nt see logic and want something absolutely impossible. Like what, you ask? The same pink cup her friend is drinking milk from. Wanting a friend to stay back after quarrelling with him the entire duration of the play date. The "I am right" attitude even when she spells Sofia as Sofea and I correct her. Only because she asked me if the spelling was right, ok? Otherwise why would I make the stupid mistake of saying Her Highness is wrong?
A word Antu picked up on her own without any one of us teaching her - Dora. Do I even have to explain this?
Got back in to mailing with some dear old college friends of mine and God it feels so good. Just to think about the college days. sigh! But then that means - no Hd or kids, right? Hey wait a minute! What am I complaining about? ;)
The other day Antu was looking at Ashu with so much adoration. I told Ashu, "Antu loves you, Ashu. She thinks you are the best in the whole world"! So Ashu tells Antu, "No Antu. Amma and Appa are the best in the whole world"! Kids do know how to play us, dont they?